Welcome! This blog is to share about my life with the kids and staff at Christian Happy Home in Poipet, Cambodia.
Many blessings!

Wednesday, June 13, 2012

# Between two parts of the text: calculated crystals
/*
Al2Zn2S5: computed XRD peak list (Cu Kα (λ = 1.5418 Å)), based on the GGA-PBE geometry in the Materials Project.
No peak broadening, texture or thermal motion is included.

Largest 10 diffraction maxima, sorted by position, 10 to 90 degrees two-theta:
11.7°, 7.532 Å, I 51; 23.6°, 3.766 Å, I 81; 27.8°, 3.212 Å, I 92; 28.0°, 3.188 Å, I 37; 29.4°, 3.033 Å, I 81; 34.2°, 2.623 Å, I 38; 44.2°, 2.050 Å, I 51; 49.0°, 1.859 Å, I 100; 52.9°, 1.732 Å, I 52; 55.1°, 1.667 Å, I 44

```
Al2Zn2S5
1.0
1.8592 1.0734 15.0636
-1.8592 1.0734 15.0636
0.0000 -2.1469 15.0636
Al Zn S
2 2 5
direct
0.0000 0.0000 0.0000
0.1813 0.1813 0.1813
0.5942 0.5942 0.5942
0.7660 0.7660 0.7660
0.0825 0.0825 0.0825
0.5444 0.5444 0.5444
0.6851 0.6851 0.6851
0.8224 0.8224 0.8224
0.9495 0.9495 0.9495
```

---

Al2Zn2S5: computed XRD peak list (Cu Kα (λ = 1.5418 Å)), based on the GGA-PBE geometry in the Materials Project.
No peak broadening, texture or thermal motion is included.

Largest 10 diffraction maxima, sorted by position, 10 to 90 degrees two-theta:
14.3°, 6.210 Å, I 52; 27.1°, 3.288 Å, I 44; 27.2°, 3.274 Å, I 94; 28.8°, 3.099 Å, I 81; 30.8°, 2.905 Å, I 31; 30.9°, 2.895 Å, I 59; 40.0°, 2.252 Å, I 45; 48.0°, 1.896 Å, I 68; 48.2°, 1.888 Å, I 33; 52.3°, 1.748 Å, I 100

```
Al2Zn2S5
1.0
6.5764 0.0000 0.0000
0.0000 6.1971 0.0000
-3.2838 0.0000 9.4382
Al Zn S
4 4 10
direct
0.1282 0.0000 0.1032
0.3403 0.0037 0.5002
0.6597 0.5037 0.4998
0.8718 0.5000 0.8968
0.2627 0.4920 0.6936
0.4673 0.5062 0.1095
0.5327 0.0062 0.8905
0.7373 0.9920 0.3064
0.0734 0.1243 0.3019
0.1222 0.6323 0.0940
0.2603 0.1171 0.6910
0.3369 0.6350 0.4971
0.4569 0.1206 0.0987
0.5431 0.6206 0.9013
0.6631 0.1350 0.5029
0.7397 0.6171 0.3090
0.8778 0.1323 0.9060
0.9266 0.6243 0.6981
```

---

Al2ZnS4: computed XRD peak list (Cu Kα (λ = 1.5418 Å)), based on the GGA-PBE geometry in the Materials Project.
No peak broadening, texture or thermal motion is included.

Largest 10 diffraction maxima, sorted by position, 10 to 90 degrees two-theta:
25.0°, 3.567 Å, I 68; 29.4°, 3.042 Å, I 90; 30.7°, 2.912 Å, I 29; 35.6°, 2.522 Å, I 30; 44.0°, 2.059 Å, I 26; 46.8°, 1.941 Å, I 51; 51.2°, 1.783 Å, I 100; 69.8°, 1.348 Å, I 15; 71.9°, 1.313 Å, I 17; 75.4°, 1.261 Å, I 14

```
Al2ZnS4
1.0
0.0000 5.0441 5.0441
5.0441 0.0000 5.0441
5.0441 5.0441 0.0000
Al Zn S
4 2 8
direct
0.0000 0.0000 0.0000
0.0000 0.0000 0.5000
0.0000 0.5000 0.0000
0.5000 0.0000 0.0000
0.3750 0.3750 0.3750
0.6250 0.6250 0.6250
0.2207 0.7598 0.7598
0.2402 0.2402 0.2402
0.2402 0.2402 0.7793
0.2402 0.7793 0.2402
0.7598 0.2207 0.7598
0.7598 0.7598 0.2207
0.7598 0.7598 0.7598
0.7793 0.2402 0.2402
```

---

What did the first record say?
Al2Zn2S5: computed XRD peak list (Cu Kα (λ = 1.5418 Å)), based on the GGA-PBE geometry in the Materials Project.
No peak broadening, texture or thermal motion is included.

Largest 10 diffraction maxima, sorted by position, 10 to 90 degrees two-theta:
*/

A New Season

My favorite tree
So, I think a lot about trees these days. Their seasons and lifecycles, their flowers and fruit, their imperceptible growth over time. We've planted a lot of trees over the last four years at Happy Home. I've watched all the trees at our home grow and develop, but especially this one. It's fascinating to observe its seasonal cycles. In the winter months it loses almost all of its leaves; it's barren, flowerless, fruitless, and looks almost dead. Every year I wonder if it will revive, or if maybe this is the year it will die. But without fail, as winter turns spring, new leaves bud, its flowers bloom, and it produces its fruit; and it is bigger, stronger, and more beautiful than any year before. I wanted to cut down this tree when I first moved to the Home in December 2008 because I thought it was dead. I'm so thankful I didn't.

Some of our other trees seem to have no seasons or cycles at all, but slowly, steadily, imperceptibly they grow. It's impossible to actually sit and watch them grow, but when I look at them now they are at least twice as tall as when I first arrived. Some of the trees that were the smallest then are the tallest now. And I didn't even realize they were growing.

The Bible has many analogies comparing our life of faith and walk with God to the growth of trees (Ps 1, John 15, Matt 7). And like trees, our lives also have seasons (Eccl 3, Ps 1), both fruitful and barren. I entered a new season of my life with God when I came to Cambodia. And in the four years I've been here, there have been seasons I experienced the beauty of the fruit of the Spirit, and seasons I felt spiritually dry and barren. But through these seasons I must believe there has been growth. Not that I'm aware of it, nor can I even recognize it. Not that I've contributed much toward it, and may have, in fact, hindered it. But I don't cause my own growth any more than a tree does. It is God, my Father, the faithful Vinedresser, who "gives the increase." Slow. Imperceptible. Growth.

With fellow nurse Gretchen in Poipet 
Now, I'm entering another season of my life with God. At the beginning of July I'll be returning to the States full-time to re-enter the field of nursing, Lord willing.  More than ten years ago, the Lord answered my prayer for direction in my life and led me to become a nurse. I love being a nurse. And have missed being a nurse. And now, I believe it is time for me to return to nursing.  This hasn't been a quick or easy decision, but is something I've been praying about for a couple of years and for which I only recently received peace and confirmation. My plans, tentatively, are to visit my family in Missouri first, spend some time studying and getting refreshed, then hopefully return to nursing in Oregon. So, while I'm excited about entering this new season, I'm also saddened at the thought of leaving the current season and everyone I've met, served with, and become family with during this time.  I wonder if trees experience growing pains at the change of seasons also? 

Sheri and Darrell Wilson
You may be wondering about the Home and kids. Rose will continue to lead the Home in Poipet, splitting her time between Cambodia and Thailand.  A new couple serving with MMF, Darrell and Sheri Wilson, will be living here at the Home full-time and assisting Rose with daily oversight and administration.  I'm very thankful the Lord has raised-up new servants for the work of the ministry.  Please pray for them, the staff, and the kids, for this transition to go smoothly, and for God's grace and peace to cover them all.

I know it's been a long, long time since I sent an update, and I can't possibly update you on a whole year's activities, so I've included some pictures below to give you a glimpse into our last year.  Enjoy:

First day of Kindergarten

Little kids garden
Singing competition
Cool chick champions!
Drama competition
Dayhike with a view.
Picknicking in the park.
Merry Christmas...... 
....and Happy New Year!
Girls soccer team - 3rd place!
Mummy fun!
Birthday fun!
Our new swimmin' hole.
Vaccinations are going well.....
....mostly.  Ooucchh!!
Sung, little girls' housemom, got married!
Chanly joined us as the new housemom.
Maria, little boys' housemom, got engaged!
Staff retreat in Thailand

Said Goodbye to Witt, Mom and Tanya as they left for Bible College


Project Compassion medical team clinics.
CC Pacific Hills - painted murals in girls' houses.
My Mom visited.  Everyone's excited!
Mom and me touring Thailand.

Well, that about wraps it up.  In closing, I just want to say Thank You and God Bless You to everyone for your encouragement, prayers, and support over the last four years. You  don't know how much you've helped me along the way.  I ask that you would continue to pray for the Home and for me as well.  I'm a little nervous about returning to the States, but I know the Lord will be with me as always.  With much love, Patty

"To everything there is a season,
a time for every purpose under heaven."
Ecclesiastes 3:1

1 comment:

  1. wow, has it been four years? your faithful and fruitful walk is an inspiration. thanks for sharing. may you be greatly blessed. we hope to see you around San Diego if you visit sometime. Donn & Beth
